Nicholson's distinction between 'scramble' and 'contest' modes of competiti
on has received widespread attention in ecology and in behaviour, though th
e emphasis has been different between the two disciplines. In ecology the f
ocus has been on the effects on population; in behavioural ecology the focu
s has been on the consequences at the individual level. This paper reviews
and develops a theory of scramble competition at the individual level, deri
ving a general evolutionarily stable strategy (ESS) for individual scramble
expenditure in a patchy habitat in which individuals compete in local grou
ps for available resources, and examines two population consequences. The c
ritical parameter determining the relationship between individual scramble
expenditure and the number of competitors in a patch is the expected resour
ce per capita. If resource input, R, to a patch is constant and independent
of the number of competitors, n, then as the number of competitors increas
es, the per-capita resources declines as R/n, and the ESS scramble level de
clines (in proportion to (n-1)/n(2)). However, if the resource input to a p
atch is positively related to the number of competitors in the patch, scram
ble expenditure may increase with the number of competitors. In the case wh
ere the per-capita resource input stays constant (i.e. R(n) = Rn), the scra
mble level increases with competitor number tin proportion to (n-1)/n). The
re are plausible ecological reasons why either of these extreme limits may
be approached in nature, making it important to ascertain the relationship
between R and n before predicting individual scramble expenditure. For exam
ple, resource input may be constant when groups of competitors are constrai
ned to remain together in given patches, and constant per-capita resources
may be approached when ideal-free foraging rules apply. However, in the lat
ter case, scramble expenditure must be accounted for in determining the ide
al-free distribution. An analysis shows that this leads to 'undermatching',
i.e. the ratio of numbers of competitors for good/bad patches becomes prog
Molecular formula: C12H24F7O12PPd
Method: DFT, the ωB97M-V functional and the def2-TZVPD basis

The HOMO energy (alpha / beta) comes out at -10.2 / -10.4 eV. Its spin multiplicity is 3. The value obtained for the energy above the lowest of the compared OMol25 structures with the same formula, charge and spin is 0.00 kJ/mol. As for the HOMO-LUMO gap (alpha / beta): 10.8 / 9.5 eV. The LUMO energy (alpha / beta) comes out at 0.539 / -0.915 eV. As for the max |F|: 2.64 eV Å⁻¹.

Each line ends with the Löwdin charge.
Geometry (Å):
O: -8.98 29.98 -34.71  0.0387
H: -13.73 28.69 -30.16  0.0638
C: -10.83 30.73 -30.10  -0.5676
H: -13.88 31.08 -30.78  0.0958
H: -11.45 26.79 -34.87  0.0874
F: -12.11 28.22 -32.86  -0.5024
C: -10.97 25.37 -28.04  -0.0204
H: -10.56 24.98 -28.97  0.0868
C: -12.72 26.58 -29.16  -0.5670
F: -6.99 26.64 -30.60  -0.1445
F: -8.37 28.45 -30.58  -0.2293
C: -11.93 25.85 -34.60  -0.0342
O: -11.96 31.43 -30.26  0.0208
H: -7.25 26.73 -33.49  0.0900
O: -13.94 27.00 -28.91  0.0426
H: -7.44 24.04 -32.73  0.0998
C: -14.48 28.02 -29.75  -0.0225
O: -10.09 31.42 -29.27  0.0509
O: -12.30 25.88 -28.13  0.0439
H: -10.29 26.04 -27.54  0.0866
H: -6.50 28.00 -32.51  0.0871
H: -12.67 25.59 -35.35  0.0970
C: -8.63 28.95 -33.95  -0.5682
H: -15.25 28.53 -29.18  0.1017
F: -7.75 26.02 -28.47  -0.1266
C: -10.25 24.79 -33.39  -0.5852
H: -8.33 22.56 -32.17  0.0996
H: -8.57 24.17 -31.55  0.0829
C: -6.69 27.66 -33.53  -0.0240
H: -5.72 27.51 -33.99  0.0998
F: -9.23 27.89 -28.62  -0.1637
F: -6.92 28.12 -28.84  -0.1382
C: -8.40 23.60 -32.47  -0.0384
O: -9.31 28.33 -33.18  0.0273
O: -12.16 26.84 -30.21  0.0320
H: -14.94 27.65 -30.67  0.1072
H: -12.82 29.97 -31.57  0.0522
H: -12.79 31.65 -32.11  0.1013
O: -10.53 29.78 -30.78  0.0425
F: -9.17 26.29 -30.26  -0.2112
P: -8.05 27.20 -29.53  0.2040
H: -12.46 26.06 -33.67  0.0775
O: -9.36 23.83 -33.47  0.0429
H: -8.84 30.25 -28.08  0.0938
O: -10.30 25.59 -32.49  0.0431
C: -12.89 31.01 -31.24  -0.0500
H: -10.29 31.48 -34.74  0.0952
H: -10.88 30.08 -35.49  0.0996
C: -8.80 30.96 -28.90  -0.0197
H: -11.15 24.45 -27.47  0.1029
H: -10.90 30.11 -33.71  0.0650
C: -10.35 30.40 -34.60  -0.0121
H: -8.17 31.80 -28.61  0.0998
O: -7.39 28.62 -34.31  0.0288
H: -8.31 30.48 -29.74  0.0820
O: -11.01 24.77 -34.47  0.0439
Pd: -10.54 27.67 -31.54  1.2094

---

Molecular formula: C12H24IrN6Se4
Method: DFT, the ωB97M-V functional and the def2-TZVPD basis

The HOMO energy (alpha / beta) comes out at -10.0 / -10.0 eV. Its total charge is +1. As for the HOMO-LUMO gap (alpha / beta): 4.8 / 4.9 eV. The LUMO energy (alpha / beta) comes out at -5.195 / -5.151 eV. As for the max |F|: 2.24 eV Å⁻¹.

Each line ends with the Löwdin charge.
Geometry (Å):
H: 1.35 3.30 1.60  0.0478
H: 0.62 3.23 -0.04  0.0092
C: -3.31 -0.41 1.78  -0.0754
H: -4.08 -4.18 -0.50  0.1318
H: -1.25 -3.76 -2.04  0.0895
H: 1.83 4.47 0.35  0.1027
H: -5.36 -1.90 0.66  0.1305
N: 1.38 0.61 -0.18  -0.0401
C: -0.07 -1.22 -1.01  -0.2366
C: 1.25 -0.83 -0.33  -0.2345
Se: -2.28 2.95 -0.08  0.1281
ressively less than the ratio of input rates for good/bad patches as the di
fference between the good and bad patches increases. A second population co
nsequence of the scramble ESS relates to the fact that scrambles may dramat
ically affect fitness. The per-capita gain in energy can be reduced by a fa
ctor of up to 1/n as a result of scramble expenditure, potentially reducing
realized population size to as little as the square root of the maximum po
tential carrying capacity, though reasons are given why such large reductio
ns are unlikely.